More Morton Arboretum
Flowers, flowers everywhere in this beautiful park outside Chicago!

Where I Have Been III
It’s been a few days since I’ve posted. We went off to Chicago to see Ralph’s World perform (yet again)! It was great fun, as always…

┌──
--- 1 ---
NaMg14V | GGA-PBE | optimized geometry

Values from the calculation:
**Total magnetic moment**: 2.98 μB per formula unit

a = 6.4259 Å, b = 6.4259 Å, c = 10.1655 Å
α = 90.00°, β = 90.00°, γ = 120.00°
Space group P-6m2 (No. 187)
Unique sites:
1 Na 0.0000 0.0000 0.0000 (multiplicity 1)
2 Mg 0.0009 0.5004 0.5000 (multiplicity 3)
3 Mg 0.0037 0.5018 0.0000 (multiplicity 3)
4 Mg 0.1651 0.3302 0.2574 (multiplicity 6)
5 Mg 0.6667 0.3333 0.2485 (multiplicity 2)
6 V 0.0000 0.0000 0.5000 (multiplicity 1)

=====

--- 2 ---
NaMg14V | GGA-PBE | optimized geometry

Values from the calculation:
**Total magnetic moment**: 3.15 μB per formula unit

a = 10.2339 Å, b = 6.4354 Å, c = 11.0277 Å
α = 90.00°, β = 90.00°, γ = 90.00°
Space group Amm2 (No. 38)
Unique sites:
1 Na 0.0000 0.0000 0.0000 (multiplicity 2)
2 Mg 0.0000 0.2501 0.2506 (multiplicity 4)
3 Mg 0.2447 0.0000 0.6640 (multiplicity 4)
4 Mg 0.2488 0.2430 0.4180 (multiplicity 8)
5 Mg 0.2535 0.0000 0.1687 (multiplicity 4)
6 Mg 0.5000 0.0000 0.9997 (multiplicity 2)
7 Mg 0.5000 0.0000 0.5002 (multiplicity 2)
8 Mg 0.5000 0.2493 0.7505 (multiplicity 4)
9 V 0.0000 0.0000 0.4992 (multiplicity 2)

=====

Referenced to the most stable arrangement, the calculated values in meV/atom are 1 0; 2 7.

=====

--- 1 ---
NaMg14W | GGA-PBE | optimized geometry

Values from the calculation:
**Total magnetic moment**: 0.00 μB per formula unit

a = 6.3622 Å, b = 6.3622 Å, c = 10.0456 Å
α = 90.00°, β = 90.00°, γ = 120.00°
Space group P-6m2 (No. 187)
Unique sites:
1 Na 0.0000 0.0000 0.0000 (multiplicity 1)
2 Mg 0.0045 0.5023 0.0000 (multiplicity 3)
3 Mg 0.1621 0.3241 0.2632 (multiplicity 6)
4 Mg 0.5004 0.0009 0.5000 (multiplicity 3)
5 Mg 0.6667 0.3333 0.2482 (multiplicity 2)
6 W 0.0000 0.0000 0.5000 (multiplicity 1)

=====

--- 2 ---
NaMg14W | GGA-PBE | optimized geometry

Values from the calculation:
**Total magnetic moment**: 0.00 μB per formula unit

a = 10.0584 Å, b = 6.4875 Å, c = 10.8275 Å
α = 90.00°, β = 90.00°, γ = 90.00°
Space group Amm2 (No. 38)
Unique sites:
1 Na 0.0000 0.0000 0.0000 (multiplicity 2)
2 Mg 0.0000 0.2494 0.7504 (multiplicity 4)
3 Mg 0.2393 0.0000 0.6613 (multiplicity 4)
4 Mg 0.2418 0.2372 0.4214 (multiplicity 8)
5 Mg 0.2537 0.0000 0.1700 (multiplicity 4)
6 Mg 0.5000 0.0000 0.4999 (multiplicity 2)
7 Mg 0.5000 0.0000 0.9987 (multiplicity 2)
8 Mg 0.5000 0.2476 0.7506 (multiplicity 4)
9 W 0.0000 0.0000 0.4940 (multiplicity 2)

=====

Referenced to the most stable arrangement, the calculated values in meV/atom are 1 0; 2 19.

* * * * *

RbAgF3 PBE relaxed; density = 5.33 Mg/m³; energy of formation from the pure elements = -2.017 eV per atom; symmetry = No. 65
1.0
2.628 -3.398 0.000
2.628 3.398 0.000
0.000 0.000 4.364
Rb Ag F
1 1 3
Direct
0.000 0.000 0.000
0.500 0.500 0.500
0.000 0.500 0.500
0.500 0.000 0.500
0.500 0.500 0.000
└──

morton arboretum
Flowers, flowers everywhere in this beautiful park outside Chicago!

I pulled over to the side of the road last night to try to catch the sunset.
The Mommy Wars part II
A couple of weeks ago, I finished reading The Truth Behind the Mommy Wars by Miriam Peskowitz. While Ms. Peskowitz made some very interesting points, I did not feel that the book offered enough concrete solutions to the current social problem of the lack of choices in balancing family and work. She claims that the
Stealth Watering
DeKalb County, GA bans all outdoor water use I know there must be a better way to reduce water usage. Our family of four uses so little water compared to the “average” that this ban infuriates me. Our 40+ year old white oak tree is “stressed” according to the arborist, and it needs the soaker
shop til you drop
Why do I charge everything I buy? Because doing that is what makes it possible for me to say “Scotland, Here We Come!” Shop Till You Fly from the Washington Post Granted, we don’t go to the extremes that the people in the article did, but using our credit card is worth it for us!
Cat vs. Bird Dilemma
The cat has been sitting in one spot crying all day. When I went out to empty the dehumidifier into the plant containers, I heard some squeaking. Looking around, I found a little nest in my hanging fern, which is right above where the cat has been sitting all day. In the nest were at
The Mommy Wars
Geeky Mom took the words right out of my mouth. I hope you’ll read her well-thought out comments on Ms. Hishnam’s op-ed piece. I certainly could not have said it better myself.
The Mommy Wars
As I am still in the middle of my review of Hyper-Parenting (on another blog…please email me if you are interested), I probably won’t get to my review of the Truth Behind the Mommy Wars by Miriam Peskowitz until next week. By then, the Washington Post article “Unleashing the Wrath of Stay-at-Home Moms” may no
Are You a Hyper-Parent? Am I?
I’ve just finished reading Hyper-parenting: Are You Hurting Your Child by Trying Too Hard? by Alvin Rosenfeld, MD, and Nicole Wise. Hyper-parenting includes “overscheduling” and “over enriching” our children, forcing us as parents to give up what is meaningful to us (other than our kids’ lives). The authors make the point that in a typical

Blue Summer
Between my watering and the rain we got, the plants are all starting to look a bit healthier. We’re on restricted watering, so I have to water on Thursday even if I think there is a good chance it will rain Friday. It seems dumb, but restricted watering increases my usage of water.

I caught these at the Scottish Festival we went to this past weekend.

Clearing the ivy from the woods has allowed many other plants to grow. I did not plant these lilies; they just appeared. Last fall I cleared the area in which they grew, and I was so excited to see them appear this spring!

+++
No. 1
Compound: HoPS4
Source: the Materials Project database
Functional: PBE-GGA
Structure: relaxed

Unit cell a=12.200 b=12.200 c=12.200 alpha=127.59 beta=127.59 gamma=77.29
Element x y z (fractional)
Ho 0.125 0.375 0.750
Ho 0.125 0.875 0.250
Ho 0.375 0.125 0.250
Ho 0.375 0.625 0.750
Ho 0.625 0.375 0.250
Ho 0.625 0.875 0.750
Ho 0.875 0.125 0.750
Ho 0.875 0.625 0.250
P 0.212 0.250 0.462
P 0.250 0.288 0.038
P 0.250 0.788 0.538
P 0.288 0.750 0.038
P 0.712 0.250 0.962
P 0.750 0.212 0.462
P 0.750 0.712 0.962
P 0.788 0.750 0.538
S 0.084 0.883 0.473
S 0.090 0.389 0.973
S 0.095 0.664 0.940
S 0.111 0.410 0.527
S 0.117 0.090 0.201
S 0.156 0.095 0.932
S 0.164 0.595 0.440
S 0.224 0.156 0.560
S 0.276 0.836 0.932
S 0.336 0.776 0.432
S 0.344 0.276 0.940
S 0.383 0.584 0.973
S 0.389 0.916 0.299
S 0.405 0.344 0.568
S 0.410 0.383 0.299
S 0.416 0.889 0.799
S 0.584 0.111 0.201
S 0.590 0.617 0.701
S 0.595 0.656 0.432
S 0.611 0.084 0.701
S 0.617 0.416 0.027
S 0.656 0.724 0.060
S 0.664 0.224 0.568
S 0.724 0.164 0.068
S 0.776 0.844 0.440
S 0.836 0.405 0.560
S 0.844 0.905 0.068
S 0.883 0.910 0.799
S 0.889 0.590 0.473
S 0.905 0.336 0.060
S 0.910 0.611 0.027
S 0.916 0.117 0.527

Properties
Final energy in eV for the cell shown: -261.3
Symmetry: No. 142
Energy of formation from the pure elements in meV/atom: -1355

=====

No. 2
Compound: CaZrAl9BO18
Source: the Materials Project database
Functional: PBE-GGA
Structure: relaxed

Unit cell a=8.802 b=8.802 c=8.552 alpha=90.00 beta=90.00 gamma=120.00
Element x y z (fractional)
Ca 0.000 0.000 0.000
Ca 0.000 0.000 0.500
Zr 0.333 0.667 0.256
Zr 0.667 0.333 0.756
Al 0.004 0.668 0.256
Al 0.017 0.657 0.928
Al 0.018 0.657 0.584
Al 0.332 0.337 0.256
Al 0.337 0.004 0.756
Al 0.343 0.361 0.584
Al 0.343 0.361 0.928
Al 0.361 0.017 0.428
Al 0.361 0.018 0.084
Al 0.639 0.982 0.584
Al 0.639 0.983 0.928
Al 0.657 0.639 0.084
Al 0.657 0.639 0.428
Al 0.663 0.996 0.256
Al 0.668 0.663 0.756
Al 0.982 0.343 0.084
Al 0.983 0.343 0.428
Al 0.996 0.332 0.756
B 0.333 0.667 0.756
B 0.667 0.333 0.256
O 0.107 0.299 0.924
O 0.107 0.300 0.588
O 0.110 0.328 0.256
O 0.118 0.595 0.098
O 0.118 0.595 0.414
O 0.154 0.601 0.756
O 0.192 0.893 0.924
O 0.193 0.893 0.588
O 0.219 0.890 0.256
O 0.299 0.192 0.424
O 0.300 0.193 0.088
O 0.328 0.219 0.756
O 0.399 0.553 0.756
O 0.405 0.523 0.098
O 0.405 0.523 0.414
O 0.447 0.846 0.756
O 0.477 0.882 0.098
O 0.477 0.882 0.414
O 0.523 0.118 0.598
O 0.523 0.118 0.914
O 0.553 0.154 0.256
O 0.595 0.477 0.598
O 0.595 0.477 0.914
O 0.601 0.447 0.256
O 0.672 0.781 0.256
O 0.700 0.807 0.588
O 0.701 0.808 0.924
O 0.781 0.110 0.756
O 0.807 0.107 0.088
O 0.808 0.107 0.424
O 0.846 0.399 0.256
O 0.882 0.405 0.598
O 0.882 0.405 0.914
O 0.890 0.672 0.756
O 0.893 0.700 0.088
O 0.893 0.701 0.424

Properties
Final energy in eV for the cell shown: -462.1
Symmetry: No. 173
Energy of formation from the pure elements in meV/atom: -3447

=====

No. 3
Compound: MgZn3
Source: the Materials Project database
Functional: PBE-GGA
Structure: relaxed
+++

performance flowers
The girls got these flowers from their granmda after their dance performance the other night.

Crystal structures that have nothing to do with the entry:
+++
A plane-wave DFT calculation with PBE-GGA was carried out for a geometry-optimized InH9N3Cl3 structure.

## Properties
M_tot ... 0.001 μB per formula unit
Energy with MP2020 corrections ... -4.73 eV per atom
Final energy ... -147.72 eV/cell
Energy relative to the elements ... -11.86 eV/f.u.

Lattice parameters (Å, degrees): 5.9981 6.9518 10.0056 86.24 86.70 85.40
Last column: nearest neighbours and their distance in Å.
Space group P-1 (No. 2)
Symmetry-distinct sites (fractional):
In1 0.0000 0.0000 0.0000 (multiplicity 1)  4 N 2.27-2.28
In2 0.5000 0.5000 0.5000 (multiplicity 1)  2 N 2.24
H1 0.0861 0.0307 0.7210 (multiplicity 2)  1 N 1.03
H2 0.0952 0.3500 0.4535 (multiplicity 2)  1 N 1.02
H3 0.0961 0.6220 0.1076 (multiplicity 2)  1 N 1.02
H4 0.2619 0.3243 0.3163 (multiplicity 2)  1 N 1.03
H5 0.2722 0.8628 0.7825 (multiplicity 2)  1 N 1.03
H6 0.2932 0.1705 0.4483 (multiplicity 2)  1 N 1.03
H7 0.2931 0.7538 0.1540 (multiplicity 2)  1 N 1.03
H8 0.3089 0.6738 0.0012 (multiplicity 2)  1 N 1.03
H9 0.3105 0.0969 0.7903 (multiplicity 2)  1 N 1.02
N1 0.1935 0.9973 0.7969 (multiplicity 2)  3 H 1.02-1.03
N2 0.2002 0.7271 0.0751 (multiplicity 2)  3 H 1.02-1.03
N3 0.2565 0.3138 0.4196 (multiplicity 2)  3 H 1.02-1.03
Cl1 0.2619 0.8091 0.4173 (multiplicity 2)  4 H 2.57-2.71, 1 In 2.60
+++

Where I Have Been II
It’s been a few days since I’ve posted. I spent the weekend in Chicago with some friends to see Ralph play his adult stuff. It was a fantastic weekend!

more flowers
It is a wonderful time of year for taking photos of flowers. I’m caught up finally, but headed out for another weekend away, so I’ll likely fall behind again on posting photos.

GBK Gwyneth